The componentization of a person

Componentized development can improve the long-term productivity of teams, even if there is only one person.

Component isolation, module debugging

Android Component Modularization in Mobile Application Development (Preface)

Restrict each library to relying only on framework code and add a uniform debugging shell to it, rather than turning into an app, wasting conversion time and not having to write two manifest files.

-- Inserted here: crystal structures --
┌──
This record from the Alexandria database describes an optimized crystal structure of Hf6AlP. The functional is GGA-PBE.

a b c (Å): 5.838 5.838 5.838
angles (deg): 103.69 103.69 103.69
Atoms (fractional coordinates):
Hf 0.356 0.785 0.785
Hf 0.644 0.215 0.215
Hf 0.785 0.356 0.785
Hf 0.215 0.215 0.644
Hf 0.215 0.644 0.215
Hf 0.785 0.785 0.356
Al 0.000 0.000 0.000
P 0.500 0.500 0.500

Summary:
* calculated formation energy: -0.17 eV per atom

***

This record from the Alexandria database describes an optimized crystal structure of UTl2Au2S6. The functional is GGA-PBE.

a b c (Å): 7.301 7.301 6.615
angles (deg): 90.00 90.00 120.00
Atoms (fractional coordinates):
Tl 0.333 0.667 0.270
Tl 0.667 0.333 0.730
S 0.225 0.922 0.757
S 0.775 0.078 0.243
S 0.697 0.775 0.757
S 0.078 0.303 0.757
S 0.303 0.225 0.243
S 0.922 0.697 0.243
Au 0.667 0.333 0.216
Au 0.333 0.667 0.784
U 0.000 0.000 0.000

Summary:
* E_form (uncorrected): -0.360 eV/atom

***

This record from the Alexandria database describes an optimized crystal structure of CuI3F. The functional is GGA-PBE.

a b c (Å): 5.292 5.292 5.292
angles (deg): 90.00 90.00 90.00
Atoms (fractional coordinates):
F 0.500 0.500 0.500
I 0.000 0.500 0.000
I 0.500 0.000 0.000
I 0.000 0.000 0.500
Cu 0.000 0.000 0.000

Summary:
* E_form (uncorrected): 0.117 eV/atom
* energy above the lowest structure with this stoichiometry: 0.348 eV per atom

***

Number 1: size of the total moment 0.000 μB per formula unit, total DFT energy (no corrections) -70.2 eV/cell. Number 2: size of the total moment 0.000 μB per formula unit, total DFT energy (no corrections) -51.3 eV/cell. Number 3: size of the total moment 0.819 μB per formula unit, total DFT energy (no corrections) -10.0 eV/cell.

* * * * *

(1)
TaAs2PdBr | the Alexandria database | GGA-PBEsol | optimized geometry; total DFT energy (no corrections) = -5.106 eV per atom; formation energy from raw total energies = 1.012 eV per atom; DOS at the Fermi energy = 4.54 states/eV/cell
1.0
-3.189 -2.356 -2.615
3.423 -2.898 -1.563
-0.834 -2.982 3.703
As Ta Pd Br
2 1 1 1
direct
0.000 0.500 0.000 As
0.500 0.000 0.000 As
0.500 0.500 0.500 Ta
0.000 0.000 0.000 Pd
0.000 0.000 0.500 Br

***

(2)
Co4Re | the Alexandria database | GGA-PBEsol | optimized geometry; total DFT energy (no corrections) = -8.844 eV per atom; ΔH_f (0 K) = 0.060 eV per formula unit; DOS at the Fermi energy = 6.07 states/eV/cell
1.0
3.519 0.000 0.000
1.760 3.935 0.000
1.760 0.000 3.935
Co Re
4 1
direct
0.803 0.598 0.796 Co
0.599 0.204 0.598 Co
0.197 0.402 0.204 Co
0.401 0.796 0.402 Co
0.000 0.000 0.000 Re
└──

A brief introduction to Gradle will help you build your projects faster.

Gradle projects are built in three phases: initialization, configuration, and execution. When debugging, load only modules that need debugging or joint debugging to speed up the build a bit.

~~~
Record 1
Entry from the Alexandria database: a PBEsol-optimized structure of Cd3In4 (SCAN).

Computed properties:
As for the crystal system: hexagonal. For the relative energy among the computed polymorphs, the calculation gives 0 meV per atom. Its space group is P6/mmm. The density of states at the Fermi level is 2.2 states/eV per cell.

Cell lengths 5.701, 5.701, 6.000 Å; angles 90.00, 90.00, 120.00 degrees
Sites, in units of the cell vectors:
Cd: 0.000 0.500 0.000
Cd: 0.500 0.000 0.000
Cd: 0.500 0.500 0.000
In: 0.000 0.000 0.742
In: 0.000 0.000 0.258
In: 0.333 0.667 0.500
In: 0.667 0.333 0.500

Record 2
Entry from the Alexandria database: a PBEsol-optimized structure of Cd5In3 (SCAN).

Computed properties:
As for the crystal system: orthorhombic. For the relative energy among the computed polymorphs, the calculation gives 24 meV per atom. Its space group is Fmmm. The density of states at the Fermi level is 5.6 states/eV per cell.

Cell lengths 5.776, 7.676, 9.497 Å; angles 83.43, 72.29, 67.90 degrees
Sites, in units of the cell vectors:
Cd: 0.755 0.000 0.000
Cd: 0.245 0.000 0.000
Cd: 0.748 0.307 0.196
Cd: 0.252 0.693 0.804
Cd: 0.755 0.788 0.702
Cd: 0.245 0.212 0.298
Cd: 0.945 0.307 0.804
Cd: 0.055 0.693 0.196
Cd: 0.457 0.788 0.298
Cd: 0.543 0.212 0.702
In: 0.250 0.500 0.500
In: 0.750 0.500 0.500
In: 0.205 0.000 0.591
In: 0.795 0.000 0.409
In: 0.314 0.371 0.000
In: 0.686 0.629 0.000

Record 3
Entry from the Alexandria database: a PBEsol-optimized structure of CdIn2 (SCAN).

Computed properties:
As for the crystal system: cubic. Its space group is Fm-3m. The density of states at the Fermi level is 1.1 states/eV per cell.

Cell lengths 4.802, 4.802, 4.802 Å; angles 60.00, 60.00, 60.00 degrees
Sites, in units of the cell vectors:
In: 0.750 0.750 0.750
In: 0.250 0.250 0.250
Cd: 0.000 0.000 0.000

Record 4
Entry from the Alexandria database: a PBEsol-optimized structure of CdIn2 (SCAN).

Computed properties:
As for the crystal system: monoclinic. Its space group is Cm. The density of states at the Fermi level is 2.5 states/eV per cell.

Cell lengths 3.288, 6.000, 8.108 Å; angles 109.28, 90.00, 105.90 degrees
Sites, in units of the cell vectors:
Cd: 0.999 0.998 0.020
Cd: 0.669 0.338 0.336
In: 0.349 0.698 0.680
In: 0.380 0.760 0.268
In: 0.062 0.124 0.593
In: 0.708 0.415 0.936

Record 5
Entry from the Alexandria database: a PBEsol-optimized structure of Cd4In (SCAN).

Computed properties:
As for the crystal system: cubic. For the relative energy among the computed polymorphs, the calculation gives 196 meV per atom. Its space group is Im-3m. The density of states at the Fermi level is 1.8 states/eV per cell.

Cell lengths 5.590, 5.590, 5.590 Å; angles 109.47, 109.47, 109.47 degrees
Sites, in units of the cell vectors:
Cd: 0.000 0.000 0.500
Cd: 0.000 0.500 0.000
Cd: 0.500 0.000 0.000
Cd: 0.500 0.500 0.500
In: 0.000 0.000 0.000

Record 6
Entry from the Alexandria database: a PBEsol-optimized structure of Cd3In4 (SCAN).

Computed properties:
~~~


Gradle initializes Gradle by looking for setting. Gradle.

  1. To find thesetting.gradleFile.
  2. If not, go to one that has the same nesting level as the current directorymasterDirectory lookup.
  3. If not, go to the parent directory.
  4. If not, proceed to a single-project build.
  5. If found, Gradle checks the current project insettings.gradleIs there a definition in. If not, do a single-project build, otherwise do a multi-project build.

Multi-project projects must have setting.gradle files in the root directory. Single-project projects do not need this file.

In this file we configure the Library we need to debug

include ':app'
/ / necessary
include ': necessary XXX '
// Shell app to load Library
gradle.ext.isAppMap =
        [/** -1; 0 libaray; 1 APP*/
         ': placeholder' : 2 -.':libraryA': 0.':libraryB': - 1,
gradle.ext.isDebug = true
gradle.ext.debugModelApp = false
for (String libraryName : gradle.ext.isAppMap.keySet()) {
	if. Decide whether to load libaray}Copy the code

The build of the app. Gradle

. dependencies { ...for (String modelName : gradle.ext.isAppMap.keySet()) {
        if (gradle.ext.isDebug) {
            if (gradle.ext.isAppMap.get(modelName) == 0) {
                implementation project(modelName)
        } else {
            implementation project(modelName)
Copy the code

Build. gradle for each library

switch (rootProject.getLoadType(getName())) {
    case - 1:
    case 0:
        apply plugin: ''
Copy the code

The new config. Gradle

ext {
    android = [
            compileSdkVersion : 29. ] }def config =
// Related library dependencies
subprojects {
    afterEvaluate { mProject ->
        if (mProject.hasProperty('android')) {
            android {
                compileSdkVersion config.compileSdkVersion
                defaultConfig {
                    if (mProject.getName().equals('app')) {
                        applicationId "applicationId"
                    minSdkVersion config.minSdkVersion
                    targetSdkVersion config.targetSdkVersion
        dependencies {
Copy the code

In the root project build. Gradle

apply from: "config.gradle"
Copy the code

In this way, creating a new Module requires little configuration. Code can be implemented in this Modulen, and ARouter can be used for different library page jumps, etc.

(Inserted here: calculated crystals)
Record 1
Material: Nd8TeAs6
Method: DFT, GGA-PBE
State: relaxed

## Properties
- energy (eV per atom) = -5.811
- size of the total moment (μB/cell) = 0.0
- formation energy from raw total energies (eV per atom) = -1.198
- V (Å³/atom) = 30.44

The structure in POSCAR format:
```
Nd8TeAs6
1.0
-2.587 -3.286 1.451
-4.855 -0.488 -9.762
8.841 -6.076 2.007
Nd As Te
8 6 1
Direct
0.741 0.689 0.656
0.741 0.967 0.311
0.259 0.311 0.344
0.741 0.344 0.033
0.259 0.033 0.689
0.253 0.667 0.333
0.747 0.333 0.667
0.259 0.656 0.967
0.243 0.343 0.865
0.757 0.478 0.343
0.757 0.657 0.135
0.243 0.522 0.657
0.757 0.865 0.522
0.243 0.135 0.478
0.500 0.000 0.000
```


Record 2
Material: AcUP2
Method: DFT, GGA-PBE
State: relaxed

## Properties
- energy (eV per atom) = -7.569
- size of the total moment (μB/cell) = 2.4
- V (Å³/atom) = 26.02
- E_form (kcal/mol of atoms) = -23.41

The structure in POSCAR format:
```
AcUP2
1.0
-1.628 1.223 -3.518
-0.889 -2.723 -2.883
-7.503 -1.297 0.674
U Ac P
1 1 2
Direct
0.669 0.669 0.993
0.496 0.496 0.511
0.073 0.073 0.782
0.262 0.262 0.214
```


Record 3
Material: Dy2BeGa3
Method: DFT, GGA-PBE
State: relaxed

## Properties
- energy (eV per atom) = -4.211
- size of the total moment (μB/cell) = 0.0
- V (Å³/atom) = 19.40
- E_form (kcal/mol of atoms) = -12.51

The structure in POSCAR format:
```
Dy2BeGa3
1.0
5.404 0.091 -1.670
-1.295 5.247 -1.670
-0.070 -0.091 8.233
Dy Ga Be
4 6 2
Direct
0.246 0.246 0.000
0.250 0.750 0.500
0.750 0.250 0.500
0.754 0.754 0.000
0.826 0.348 0.173
0.652 0.174 0.827
0.173 0.173 0.347
0.348 0.826 0.173
0.174 0.652 0.827
0.827 0.827 0.653
0.333 0.333 0.666
0.667 0.667 0.334
```


Record 4
Material: CaBi2F8
Method: DFT, GGA-PBE
State: relaxed

## Properties
- energy (eV per atom) = -5.050
- size of the total moment (μB/cell) = 0.0
- formation energy from raw total energies (eV per atom) = -2.801
- V (Å³/atom) = 14.26

The structure in POSCAR format:
```
CaBi2F8
1.0
-3.243 2.082 -2.079
0.779 -4.735 -4.082
-3.245 -1.868 5.066
F Bi Ca
8 2 1
Direct
0.915 0.945 0.679
0.318 0.651 0.651
0.500 0.770 0.230
0.085 0.321 0.055
0.682 0.349 0.349
0.085 0.055 0.321
0.500 0.230 0.770
0.915 0.679 0.945
0.000 0.682 0.318
0.000 0.318 0.682
0.500 0.000 0.000
```


Record 5
Material: KRu4Pt
Method: DFT, GGA-PBE
State: relaxed

## Properties
- energy (eV per atom) = -6.430
- size of the total moment (μB/cell) = 2.6
- V (Å³/atom) = 16.94
- E_form (kcal/mol of atoms) = 21.77

The structure in POSCAR format:
```
KRu4Pt
1.0
-3.361 -3.333 2.243
-4.402 -1.357 -2.495
-0.543 -4.850 -1.903
Pt Ru K
1 4 1
Direct
0.000 0.000 0.000
0.877 0.374 0.374
0.374 0.374 0.877
0.374 0.877 0.374
0.374 0.374 0.374
0.750 0.750 0.750
```


Record 6
Material: Zn2GaBi2
Method: DFT, GGA-PBE
State: relaxed

## Properties
- energy (eV per atom) = -2.492
- size of the total moment (μB/cell) = 0.0
- V (Å³/atom) = 24.70
- E_form (kcal/mol of atoms) = 4.05

The structure in POSCAR format:
```
Zn2GaBi2
1.0
8.527 0.000 0.000
0.000 8.527 0.000
0.000 0.000 3.397
Bi Zn Ga
4 4 2

. To be continued…